Heavens to Murgatroyd!

And now, dear mortals, excerpts from a rant in which I castigated the masses,
especially the ignorated*, for their refusal to question obvious holes in narratives
best ignored:

The stage is set: a woeful beggar comes stumbling out of an alleyway, rags distraught.
He is holding a paper, on which are written the words "Covid-19 – the final nail in coffin
of medical research.
" Other beggars, lawyers, healers, and doctors of science abound.

Here the page breaks off for calculated crystals =
<<<
! Na4YZrSi2PO12, optimized geometry, DFT PBE-GGA; values from VASP
&SYSTEM
  ibrav = 0, nat = 126, ntyp = 6
/
ATOMIC_SPECIES
Si 28.09 Si.upf
O 16.00 O.upf
Na 22.99 Na.upf
Zr 91.22 Zr.upf
P 30.97 P.upf
Y 88.91 Y.upf
ATOMIC_POSITIONS crystal
Si 0.005 0.303 0.251
Si 0.696 0.701 0.251
Si 0.338 0.970 0.918
Si 0.671 0.636 0.584
Si 0.697 0.995 0.751
Si 0.364 0.329 0.084
Si 0.029 0.368 0.917
Si 0.363 0.034 0.584
Si 0.632 0.971 0.417
Si 0.299 0.304 0.751
Si 0.030 0.662 0.418
Si 0.966 0.637 0.084
O 0.462 0.156 0.527
O 0.507 0.654 0.581
O 0.221 0.193 0.808
O 0.474 0.112 0.642
O 0.679 0.159 0.747
O 0.140 0.446 0.975
O 0.527 0.863 0.077
O 0.644 0.112 0.139
O 0.967 0.164 0.587
O 0.554 0.860 0.475
O 0.175 0.485 0.253
O 0.842 0.818 0.587
O 0.174 0.987 0.914
O 0.310 0.445 0.472
O 0.555 0.690 0.972
O 0.648 0.531 0.643
O 0.977 0.778 0.806
O 0.027 0.819 0.697
O 0.848 0.492 0.420
O 0.182 0.158 0.087
O 0.836 0.033 0.087
O 0.128 0.638 0.361
O 0.517 0.695 0.254
O 0.181 0.973 0.197
O 0.795 0.972 0.694
O 0.888 0.356 0.639
O 0.666 0.514 0.247
O 0.000 0.181 0.913
O 0.804 0.806 0.910
O 0.511 0.872 0.360
O 0.183 0.029 0.587
O 0.360 0.485 0.363
O 0.819 0.000 0.413
O 0.137 0.473 0.577
O 0.135 0.685 0.476
O 0.305 0.483 0.754
O 0.503 0.366 0.420
O 0.194 0.196 0.410
O 0.469 0.352 0.143
O 0.013 0.826 0.414
O 0.971 0.817 0.087
O 0.152 0.667 0.080
O 0.802 0.018 0.810
O 0.515 0.640 0.863
O 0.695 0.538 0.527
O 0.634 0.497 0.920
O 0.346 0.493 0.081
O 0.128 0.489 0.860
O 0.694 0.152 0.030
O 0.333 0.848 0.580
O 0.515 0.825 0.753
O 0.795 0.823 0.194
O 0.315 0.865 0.976
O 0.222 0.023 0.306
O 0.982 0.198 0.310
O 0.807 0.779 0.308
O 0.470 0.140 0.243
O 0.888 0.526 0.142
O 0.860 0.530 0.743
O 0.486 0.334 0.747
O 0.462 0.305 0.027
O 0.841 0.321 0.247
O 0.300 0.830 0.254
O 0.844 0.538 0.027
O 0.028 0.205 0.194
O 0.177 0.205 0.694
O 0.850 0.362 0.921
O 0.508 0.152 0.920
O 0.848 0.306 0.530
O 0.170 0.700 0.754
O 0.638 0.150 0.421
O 0.362 0.872 0.861
Na 0.297 0.963 0.077
Na 0.013 0.007 0.998
Na 0.964 0.297 0.411
Na 0.037 0.703 0.577
Na 0.660 0.321 0.832
Na 0.326 0.654 0.165
Na 0.376 0.013 0.749
Na 0.631 0.630 0.744
Na 0.979 0.673 0.918
Na 0.042 0.346 0.083
Na 0.993 0.987 0.498
Na 0.370 0.369 0.244
Na 0.987 0.624 0.249
Na 0.321 0.291 0.916
Na 0.993 0.355 0.752
Na 0.660 0.688 0.085
Na 0.346 0.674 0.665
Na 0.645 0.007 0.252
Na 0.703 0.036 0.911
Na 0.312 0.340 0.585
Na 0.709 0.679 0.416
Na 0.654 0.958 0.583
Na 0.679 0.340 0.332
Na 0.327 0.021 0.418
Zr 0.666 0.334 0.483
Zr 0.999 0.001 0.149
Zr 0.999 0.001 0.649
Zr 0.666 0.334 0.983
Zr 0.332 0.668 0.316
Zr 0.332 0.668 0.816
P 0.628 0.660 0.917
P 0.340 0.372 0.417
P 0.007 0.706 0.750
P 0.294 0.993 0.250
P 0.673 0.039 0.083
P 0.961 0.327 0.583
Y 0.336 0.671 0.516
Y 0.670 0.338 0.182
Y 0.329 0.664 0.016
Y 0.996 0.997 0.349
Y 0.003 0.004 0.849
Y 0.662 0.330 0.682
CELL_PARAMETERS angstrom
-9.009 2.316 -1.213
2.943 -3.138 8.336
4.610 21.508 6.407
! Magnetic moment, μB/f.u.: 0.00
! Energy relative to the elements, eV/atom: -3.06
>>>

Aristoprophanes: Why not let's shout to the roof-tops? He passes the paper around.

Beggar: Oh, what would one see here - a dissenting voice amongst the Doctory? Say it ain't so!

Scientist: What have we in the way of "consensus," then? None? Heavens to Murgatroyd!

Crystal structures from another source follow >
Entry from Materials Project: a relaxed structure of TiSi2C3N2Cl5 (GGA-PBE).

Geometry as extended XYZ:
```
52
Lattice="7.4045 0.0000 0.0000 0.0000 13.5004 0.0000 -5.7567 0.0000 14.6911" Properties=species:S:1:pos:R:3 pbc="T T T"
Ti -1.6408 1.1986 6.8550
Ti -4.5192 5.5517 14.2005
Ti 6.1670 7.9488 0.4906
Ti 3.2886 12.3019 7.8361
Si -3.3683 9.7233 9.8009
Si -0.4900 10.5274 2.4553
Si 2.1073 3.3098 0.3444
Si -0.7710 3.4405 7.6900
Si 2.4188 10.0600 7.0011
Si -0.4596 10.1907 14.3467
Si 2.1377 2.9730 12.2358
Si 5.0161 3.7772 4.8902
C -4.2102 8.5283 10.9683
C -1.3318 11.7224 3.6227
C -3.2108 7.5818 11.0641
C -0.3324 12.6688 3.7186
C -2.6462 8.0085 9.8766
C 0.2322 12.2421 2.5311
C 1.4156 1.2583 12.1600
C 4.2939 5.4919 4.8145
C 1.9802 0.8316 10.9726
C 4.8586 5.9186 3.6270
C 2.9796 1.7781 11.0684
C 5.8579 4.9721 3.7229
N -1.6428 3.0940 6.2280
N -4.5212 3.6562 13.5735
N -0.6200 1.7700 8.1304
N 2.2584 4.9802 0.7848
N -0.6106 8.5203 13.9063
N 2.2678 11.7304 6.5607
N 6.1689 9.8442 1.1176
N 3.2906 10.4065 8.4631
Cl -4.7330 7.9906 14.3213
Cl -1.8547 12.2601 6.9757
Cl 0.9638 2.2594 1.6773
Cl -1.9145 4.4908 9.0229
Cl -0.0221 0.5736 4.6829
Cl -2.9004 6.1767 12.0285
Cl 0.6330 9.0765 3.3560
Cl -2.2453 11.1742 10.7015
Cl 0.6863 9.0229 7.3086
Cl -2.1921 11.2277 14.6542
Cl 3.8399 2.2727 0.0369
Cl 0.9615 4.4775 7.3825
Cl 3.8931 2.3262 3.9896
Cl 1.0147 4.4240 11.3352
Cl 4.5482 7.3238 2.6626
Cl 1.6698 12.9269 10.0082
Cl 3.5623 9.0096 5.6682
Cl 0.6839 11.2410 13.0138
Cl 3.5024 1.2403 7.7154
Cl 6.3808 5.5099 0.3698
```

Properties
- size of the total moment (μB per formula unit) = 0.99
- ΔH_f (0 K) (eV per atom) = -0.484
- raw total energy (eV per cell) = -302.30
- space-group type = P2_1/c, No. 14


# 1
Y4AlSiNO8: relaxed, GGA-PBE.

Cell lengths 10.498, 7.667, 10.993 Å; angles 70.39, 90.00, 90.00 degrees
Sites, in units of the cell vectors:
N1 0.756 0.051 0.112
O1 0.526 0.284 0.676
Si1 0.817 0.847 0.115
Y1 0.909 0.470 0.808
O2 0.023 0.074 0.602
Y2 0.120 0.826 0.570
O3 0.269 0.576 0.520
Y3 0.409 0.530 0.692
O4 0.762 0.693 0.736
O5 0.995 0.568 0.606
O6 0.776 0.256 0.772
O7 0.262 0.307 0.764
O8 0.231 0.576 0.020
O9 0.224 0.744 0.228
O10 0.532 0.804 0.664
O11 0.977 0.926 0.398
Al1 0.686 0.265 0.631
O12 0.505 0.568 0.106
O13 0.206 0.176 0.027
Y4 0.899 0.980 0.780
Y5 0.873 0.656 0.420
Si2 0.683 0.847 0.615
Y6 0.627 0.656 0.920
Y7 0.380 0.826 0.070
Y8 0.127 0.344 0.580
Al2 0.314 0.735 0.369
O14 0.005 0.432 0.394
O15 0.468 0.196 0.336
O16 0.706 0.824 0.473
Y9 0.620 0.174 0.930
O17 0.294 0.176 0.527
O18 0.731 0.424 0.480
Y10 0.373 0.344 0.080
O19 0.523 0.926 0.898
Si3 0.183 0.153 0.885
O20 0.724 0.256 0.272
O21 0.974 0.284 0.176
Al3 0.814 0.265 0.131
Al4 0.186 0.735 0.869
O22 0.968 0.804 0.164
O23 0.276 0.744 0.728
N2 0.244 0.949 0.888
O24 0.474 0.716 0.324
Si4 0.317 0.153 0.385
Y11 0.399 0.020 0.720
O25 0.794 0.824 0.973
O26 0.769 0.424 0.980
N3 0.744 0.051 0.612
O27 0.495 0.432 0.894
O28 0.026 0.716 0.824
Y12 0.101 0.020 0.220
O29 0.238 0.307 0.264
O30 0.738 0.693 0.236

Doctor: You mean we've been fully aware of research malpractice for upwards of 30 years?

Attached: materials data:
<<<
Computed, not measured: Ti2Cu3Te3O16 after structural relaxation at the PBE level of DFT.

## Properties
Space group ... Cm
Size of the total moment ... 1.00 μB/cell

```
Ti2Cu3Te3O16
1.0
5.5336 -2.9813 0.0000
5.5336 2.9813 0.0000
-0.5779 0.0000 9.2604
Ti Cu Te O
2 3 3 16
direct
0.0000 0.0000 0.0000
0.6677 0.6677 0.4543
0.1352 0.1352 0.7031
0.4836 0.9817 0.1884
0.9817 0.4836 0.1884
0.1353 0.6380 0.7040
0.4851 0.4851 0.2086
0.6380 0.1353 0.7040
0.1498 0.1498 0.0793
0.1713 0.6787 0.0848
0.2552 0.8229 0.8161
0.3250 0.3250 0.2838
0.3287 0.3287 0.8233
0.3515 0.7671 0.3528
0.4536 0.4536 0.5923
0.4760 0.9804 0.6023
0.6349 0.6349 0.1022
0.6787 0.1713 0.0848
0.7671 0.3515 0.3528
0.7829 0.7829 0.3277
0.8229 0.2552 0.8161
0.8304 0.8304 0.8313
0.9375 0.9375 0.5785
0.9804 0.4760 0.6023
```

***

Computed, not measured: ScCo2Si2 after structural relaxation at the PBE level of DFT.

## Properties
Space group ... I4/mmm

```
ScCo2Si2
1.0
-1.8881 1.8881 4.8032
1.8881 -1.8881 4.8032
1.8881 1.8881 -4.8032
Sc Co Si
1 2 2
direct
0.0000 0.0000 0.0000
0.2500 0.7500 0.5000
0.7500 0.2500 0.5000
0.3761 0.3761 0.0000
0.6239 0.6239 0.0000
```

***

Computed, not measured: Tb6IrBr10 after structural relaxation at the PBE level of DFT.

## Properties
Space group ... P-1

```
Tb6IrBr10
1.0
7.4125 0.0000 0.0000
-2.5280 8.8778 0.0000
-1.1584 -3.3760 8.5165
Tb Ir Br
6 1 10
direct
0.0232 0.1975 0.4027
0.1246 0.5438 0.2515
0.3690 0.6426 0.6831
0.6310 0.3574 0.3169
0.8754 0.4562 0.7485
0.9768 0.8025 0.5973
0.0000 0.5000 0.5000
0.0882 0.8705 0.3271
0.2030 0.2354 0.1444
0.2569 0.5851 0.9598
0.3642 0.9637 0.7771
0.4495 0.3221 0.5849
0.5505 0.6779 0.4151
0.6358 0.0363 0.2229
0.7431 0.4149 0.0402
0.7970 0.7646 0.8556
0.9118 0.1295 0.6729
```

***

Computed, not measured: Re6Se8O7F6 after structural relaxation at the PBE level of DFT.

## Properties
Space group ... C2/c
Size of the total moment ... 1.80 μB/cell

```
Re6Se8O7F6
1.0
9.6801 -6.2514 0.0000
9.6801 6.2514 0.0000
-5.2538 0.0000 9.6097
Re Se O F
12 16 14 12
direct
0.0014 0.6498 0.6551
0.0070 0.3929 0.6056
0.1841 0.4435 0.5504
0.3502 0.9986 0.8449
0.3929 0.0070 0.1056
0.4435 0.1841 0.0504
0.5565 0.8159 0.9496
0.6071 0.9930 0.8944
0.6498 0.0014 0.1551
0.8159 0.5565 0.4496
0.9930 0.6071 0.3944
0.9986 0.3502 0.3449
0.1304 0.5256 0.8400
0.1805 0.4015 0.3102
0.1834 0.6756 0.5970
0.1879 0.2096 0.5154
0.2096 0.1879 0.0154
0.3244 0.8166 0.9030
0.4015 0.1805 0.8102
0.4744 0.8696 0.6600
0.5256 0.1304 0.3400
0.5985 0.8195 0.1898
0.6756 0.1834 0.0970
0.7904 0.8121 0.9846
0.8121 0.7904 0.4846
0.8166 0.3244 0.4030
0.8195 0.5985 0.6898
0.8696 0.4744 0.1600
0.0605 0.5874 0.9699
0.1229 0.8771 0.2500
0.1542 0.8025 0.1368
0.1975 0.8458 0.3632
0.4126 0.9395 0.5301
0.4549 0.5428 0.4736
0.4572 0.5451 0.0264
0.5428 0.4549 0.9736
0.5451 0.4572 0.5264
0.5874 0.0605 0.4699
0.8025 0.1542 0.6368
0.8458 0.1975 0.8632
0.8771 0.1229 0.7500
0.9395 0.4126 0.0301
0.0054 0.2892 0.7066
0.0079 0.1847 0.1962
0.1847 0.0079 0.6962
0.2892 0.0054 0.2066
>>>
The materials data stop here:

Beggar: Oh dish, oh dosh!

Scientist: Oh calamity, oh my!

Lawyer: What of the news media, then? What of the government missives? All built on sand?

Doctor: Oh heavens, how shall we abide it?

Lawyer: It must be the work of those dastardly conspiracy theorists, who have been assaulting us
with facts from the get go...

Suddenly a light shines down upon Aristoprophanes, as if he has become the Vision of the Blessed Mother.
The other actors (actors?) are stuck, frozen in time, and only Aristoprophanes can move or speak.

Aristoprophanes in mocking tone: Seriously, it's almost as if half the people I know who've been
"educated in science" have been educated in sophistry, ignorance, nepotism and gullibility. Always
these "lovers of science" whose panties bunch when scientists point out the problems with their

As I have said before in the forum, I opted to study science's undergarments rather than its now
clearly rotting outer cladding - as such I have always put forward a "broad view" on these topics,
and am persistently vindicated as a result. Now a physicist disdains my points, now a chemist,
now a biologist, not a one of them has the common sense to extract themselves from the club
they were ushered into at the university and observe reality with a transparent lens. Everyone
is convinced that their professors weren't sacks of shit, comfortable in their education posts
because they were actually incapable of practising real science. The mutual-rubbing culture of
effeminate "universities" has produced for us generations of ineffectual "scientists" who sell their
bottoms for credits, kudos, and perhaps enough money to see out the month, if they can claim
a climate-connection or (now) spin some covid-claptrap in their research. All safely barred from
real world investigation, mind...

The light fades, the actors (really? These are actors?) resume their lamentations as they exit, the busy
street scene continues.

Aristoprophanes: Now as time goes on, data, data, data - yet more data, irreconcilable hoards of
data, which show "this part of the paradigm wasn't true, that part of the paradigm wasn't true, these
computer models were fundamentally (and, at the time, demonstrably) off, these social and political
dicta were utterly unfounded." All you gullible pseudo-scientists trumpeted for Satan while Thomas
sat doubting. "Hooray for Science," you said, using the divinising capital, "Science has shown us our
errors and it is Science that will save us." Clearly in this case so-called "science" is the error.

A fellow beggar comes up to Aristoprophanes.

It will be three years at least until they have understood the idiocy of their collective wank, while all of us who chose to challenge baseless and clearly (fiscally) biased assertions are cleaning up quite nicely right now. What's that? My sperm's worth increases by the minute? What's that? My blood is prized and sought after? Oh, I could hardly have seen that coming. Certainly not with unprecedented, untested, uncertified and assuredly unsafe genetic modification on the line. Who could've thought that might prove to be a bad idea, eh?

What makes me most angry, is that I have never had the conviction that I am somehow better than you for having avoided what seemed to me to be an obvious trap; and yet it is clearly the case that countless "vaccinated" individuals are of the opinion that their increasingly deleterious state (how much "long covid" have we got now, never mind the "short illnesses"?) is the sign of some spiritual superiority. "I'm brave enough to get the vaccine." No, you're stupid enough not to do a little reading. "I did it for the people around me." No, you did it because you were exhorted by media headlines and the governments' scary bedtime stories. "Well, what does it matter anyway, we're all going to die, haha, I don't even care if I become a mutant." Tell that to the people you could help if you weren't ill/dead (of which there will be an ever greater number as these farces continue).

In the end, I look at it this way - some of you don't want to be here. That's alright. I get that. This world can appear to be a frightening place, where we kill each other (organisms, that is) for food, where might wins out over right wherever right is not mighty enough, where it actually takes balls, courage, resilience and drive to achieve, grow, develop, ascend from once-held limitations. Yes, this is not an easy place for many to live in. So I understand that you would like to kill yourselves - to depart from this sphere, this realm - and to enter somewhere else, perhaps. And you should not like to know that's what you're doing; but you would rather be told that it's "for your health." You would prefer blind euthanasia - conscious suicide takes too much strength. That's understandable. I do not resonate with such positions, but I do comprehend whence they arise. And I can hardly condemn you for wanting to duck out, if that is indeed the reasoning behind your commitment to death.

All I ask is that you not take everyone else down with you. Just because you want to die, does not mean the world wants to die. Just because you have had enough of this difficult, confusing, challenging plane does not mean the rest of us have had our fill. We would like to remain. We would like to kill off the mutants, if you should all become zombies for example. We would like to topple the controllers in the event of "mass exodus." We would like to explore a new continent or map the North of the North - something of a challenge to evoke virility and raw humanity in us, but surely none of this trying dross of self-limitation and solipsistic suicidality.

Well, well, let it be well for all - I should hardly like that people should be uncomfortable with their lot, even if they know not why they chose it. But we should all be friends, all of us, for though I am but a pauper and have not even taxes by which to pay the government for their earnestly (perhaps too earnestly) offered interventions, I am still a human being, and laugh and cry and bleed like the rest. It is surely not my fault that I was blessed with these rags and this intellect, seeing as how my parents were dullards and my dog is made of stone -

*He means those educated into ignorance - Pericuriousalivates